Data.
┌──
{"formula": "CuHg2Se2Cl2", "functional": "PBE-GGA", "state": "optimized geometry", "crystal_system": "triclinic", "sg": "P-1, No. 2", "dos_ef_per_ev_cell": 3.26, "lattice_angstrom": [[3.972, 1.513, 0.151], [1.608, 10.844, -0.088], [3.021, 5.378, 5.074]], "species": ["Se", "Se", "Cl", "Cl", "Cu", "Hg", "Hg"], "frac_coords": [[0.539, 0.892, 0.427], [0.461, 0.108, 0.573], [0.425, 0.396, 0.835], [0.575, 0.604, 0.165], [0.000, 0.000, 0.000], [0.040, 0.664, 0.608], [0.960, 0.336, 0.392]]}

---

{"formula": "Cu2HgSeCl", "functional": "PBE-GGA", "state": "optimized geometry", "crystal_system": "tetragonal", "sg": "P4/mmm, No. 123", "dos_ef_per_ev_cell": 2.01, "lattice_angstrom": [[-2.877, -2.430, 2.140], [-1.812, -2.622, -5.413], [2.988, -3.096, 0.500]], "species": ["Cu", "Cu", "Hg", "Se", "Cl"], "frac_coords": [[0.000, 0.000, 0.500], [0.500, 0.000, 0.000], [0.000, 0.500, 0.000], [0.500, 0.500, 0.500], [0.000, 0.000, 0.000]]}

---

{"formula": "CuSnHgCl5", "functional": "PBE-GGA", "state": "optimized geometry", "crystal_system": "monoclinic", "sg": "C2/c, No. 15", "lattice_angstrom": [[8.846, -1.631, -0.378], [-4.143, 7.985, -0.378], [-2.439, -3.294, 8.033]], "species": ["Cl", "Cl", "Cl", "Cl", "Cl", "Cl", "Cl", "Cl", "Cl", "Cl", "Cu", "Cu", "Sn", "Sn", "Hg", "Hg"], "frac_coords": [[0.229, 0.354, 0.531], [0.831, 0.334, 0.100], [0.646, 0.771, 0.969], [0.666, 0.169, 0.400], [0.882, 0.118, 0.750], [0.169, 0.666, 0.900], [0.118, 0.882, 0.250], [0.771, 0.646, 0.469], [0.334, 0.831, 0.600], [0.354, 0.229, 0.031], [0.343, 0.657, 0.750], [0.657, 0.343, 0.250], [0.275, 0.725, 0.250], [0.725, 0.275, 0.750], [0.000, 0.000, 0.500], [0.000, 0.000, 0.000]]}

---

{"formula": "TlCuHgCl5", "functional": "PBE-GGA", "state": "optimized geometry", "crystal_system": "monoclinic", "sg": "C2/c, No. 15", "dos_ef_per_ev_cell": 6.15, "lattice_angstrom": [[-3.490, 6.661, 0.177], [-4.814, -5.742, 0.663], [4.478, -0.150, 8.370]], "species": ["Hg", "Hg", "Cl", "Cl", "Cl", "Cl", "Cl", "Cl", "Cl", "Cl", "Cl", "Cl", "Cu", "Cu", "Tl", "Tl"], "frac_coords": [[0.000, 0.000, 0.000], [0.000, 0.000, 0.500], [0.591, 0.715, 0.933], [0.285, 0.409, 0.567], [0.409, 0.285, 0.067], [0.715, 0.591, 0.433], [0.079, 0.921, 0.250], [0.125, 0.705, 0.898], [0.875, 0.295, 0.102], [0.295, 0.875, 0.602], [0.705, 0.125, 0.398], [0.921, 0.079, 0.750], [0.679, 0.321, 0.250], [0.321, 0.679, 0.750], [0.659, 0.341, 0.750], [0.341, 0.659, 0.250]]}

---

{"formula": "Tl2Cu2HgCl6", "functional": "PBE-GGA", "state": "optimized geometry", "crystal_system": "monoclinic", "sg": "C2/m, No. 12", "lattice_angstrom": [[-5.881, -4.234, -0.459], [3.617, 0.491, 6.556], [-4.106, 5.922, -2.017]], "species": ["Cu", "Cu", "Cl", "Cl", "Cl", "Cl", "Cl", "Cl", "Tl", "Tl", "Hg"], "frac_coords": [[0.946, 0.892, 0.784], [0.054, 0.108, 0.216], [0.698, 0.893, 0.199], [0.752, 0.505, 0.656], [0.805, 0.107, 0.801], [0.302, 0.107, 0.801], [0.248, 0.495, 0.344], [0.195, 0.893, 0.199], [0.732, 0.464, 0.208], [0.268, 0.536, 0.792], [0.500, 0.000, 0.500]]}

---

{"formula": "TlCu2HgCl8", "functional": "PBE-GGA", "state": "optimized geometry", "crystal_system": "triclinic", "sg": "P-1, No. 2", "dos_ef_per_ev_cell": 5.33, "lattice_angstrom": [[-0.448, -6.563, 1.230], [1.171, -0.489, -6.343], [7.248, -0.057, 1.025]], "species": ["Cl", "Cl", "Cl", "Cl", "Cl", "Cl", "Cl", "Cl", "Tl", "Hg", "Cu", "Cu"], "frac_coords": [[0.833, 0.201, 0.753], [0.657, 0.691, 0.000], [0.338, 0.314, 0.500], [0.182, 0.784, 0.738], [0.662, 0.686, 0.500], [0.167, 0.799, 0.247], [0.818, 0.216, 0.262], [0.343, 0.309, 0.000], [0.000, 0.000, 0.500], [0.000, 0.000, 0.000], [0.486, 0.514, 0.754], [0.514, 0.486, 0.246]]}

---
└──

To do.
Retype the block earlier on from the first line to the one with "[0.409, 0.285," with every line break kept, please.

Outcome.
{"formula": "CuHg2Se2Cl2", "functional": "PBE-GGA", "state": "optimized geometry", "crystal_system": "triclinic", "sg": "P-1, No. 2", "dos_ef_per_ev_cell": 3.26, "lattice_angstrom": [[3.972, 1.513, 0.151], [1.608, 10.844, -0.088], [3.021, 5.378, 5.074]], "species": ["Se", "Se", "Cl", "Cl", "Cu", "Hg", "Hg"], "frac_coords": [[0.539, 0.892, 0.427], [0.461, 0.108, 0.573], [0.425, 0.396, 0.835], [0.575, 0.604, 0.165], [0.000, 0.000, 0.000], [0.040, 0.664, 0.608], [0.960, 0.336, 0.392]]}

---

{"formula": "Cu2HgSeCl", "functional": "PBE-GGA", "state": "optimized geometry", "crystal_system": "tetragonal", "sg": "P4/mmm, No. 123", "dos_ef_per_ev_cell": 2.01, "lattice_angstrom": [[-2.877, -2.430, 2.140], [-1.812, -2.622, -5.413], [2.988, -3.096, 0.500]], "species": ["Cu", "Cu", "Hg", "Se", "Cl"], "frac_coords": [[0.000, 0.000, 0.500], [0.500, 0.000, 0.000], [0.000, 0.500, 0.000], [0.500, 0.500, 0.500], [0.000, 0.000, 0.000]]}

---

{"formula": "CuSnHgCl5", "functional": "PBE-GGA", "state": "optimized geometry", "crystal_system": "monoclinic", "sg": "C2/c, No. 15", "lattice_angstrom": [[8.846, -1.631, -0.378], [-4.143, 7.985, -0.378], [-2.439, -3.294, 8.033]], "species": ["Cl", "Cl", "Cl", "Cl", "Cl", "Cl", "Cl", "Cl", "Cl", "Cl", "Cu", "Cu", "Sn", "Sn", "Hg", "Hg"], "frac_coords": [[0.229, 0.354, 0.531], [0.831, 0.334, 0.100], [0.646, 0.771, 0.969], [0.666, 0.169, 0.400], [0.882, 0.118, 0.750], [0.169, 0.666, 0.900], [0.118, 0.882, 0.250], [0.771, 0.646, 0.469], [0.334, 0.831, 0.600], [0.354, 0.229, 0.031], [0.343, 0.657, 0.750], [0.657, 0.343, 0.250], [0.275, 0.725, 0.250], [0.725, 0.275, 0.750], [0.000, 0.000, 0.500], [0.000, 0.000, 0.000]]}

---

{"formula": "TlCuHgCl5", "functional": "PBE-GGA", "state": "optimized geometry", "crystal_system": "monoclinic", "sg": "C2/c, No. 15", "dos_ef_per_ev_cell": 6.15, "lattice_angstrom": [[-3.490, 6.661, 0.177], [-4.814, -5.742, 0.663], [4.478, -0.150, 8.370]], "species": ["Hg", "Hg", "Cl", "Cl", "Cl", "Cl", "Cl", "Cl", "Cl", "Cl", "Cl", "Cl", "Cu", "Cu", "Tl", "Tl"], "frac_coords": [[0.000, 0.000, 0.000], [0.000, 0.000, 0.500], [0.591, 0.715, 0.933], [0.285, 0.409, 0.567], [0.409, 0.285, 0.067], [0.715, 0.591, 0.433], [0.079, 0.921, 0.250], [0.125, 0.705, 0.898], [0.875, 0.295, 0.102], [0.295, 0.875, 0.602], [0.705, 0.125, 0.398], [0.921, 0.079, 0.750], [0.679, 0.321, 0.250], [0.321, 0.679, 0.750], [0.659, 0.341, 0.750], [0.341, 0.659, 0.250]]}